Work order.
Your job: transcribe the part of the listing further below that starts with the line with "0.1554" and stops after the one with "38.20".

File.
<<<
Theoretical X-ray powder pattern of Nd4Al3Cd for Cu Kα, 1.54184 Å, from a cell relaxed with GGA-PBE.
Neutral-atom scattering factors, no anomalous dispersion.

Most intense lines, 2θ from 10° to 90°, sorted by position:
2theta, I_rel
23.91, 48
29.02, 21
31.25, 100
32.17, 59
34.92, 42
37.62, 18
38.52, 27
48.04, 15
51.03, 32
60.75, 17

Structural model:
Lattice parameters (Å, degrees): 3.788 4.674 12.303 90.00 90.00 90.00
Space group Pmm2 (No. 25)
Unique sites:
Nd1 0.000 0.000 0.000 (multiplicity 1)
Nd2 0.000 0.500 0.304 (multiplicity 1)
Nd3 0.500 0.000 0.492 (multiplicity 1)
Nd4 0.500 0.500 0.811 (multiplicity 1)
Al1 0.000 0.500 0.583 (multiplicity 1)
Al2 0.500 0.000 0.216 (multiplicity 1)
Al3 0.500 0.500 0.088 (multiplicity 1)
Cd1 0.000 0.000 0.716 (multiplicity 1)

***

Theoretical X-ray powder pattern of Nd3Al2Cd7 for Cu Kα, 1.54184 Å, from a cell relaxed with GGA-PBE.
Neutral-atom scattering factors, no anomalous dispersion.

Most intense lines, 2θ from 10° to 90°, sorted by position:
2theta, I_rel
28.16, 43
30.80, 46
34.82, 63
35.27, 28
35.66, 100
38.30, 32
38.52, 22
56.89, 25
58.24, 24
62.13, 31

Structural model:
Lattice parameters (Å, degrees): 5.9762 5.9762 28.0488 90.00 90.00 120.00
Space group R-3m (No. 166, hexagonal axes)
Unique sites:
Nd1 0.0000 0.0000 0.0000 (multiplicity 3)
Nd2 0.0000 0.0000 0.1426 (multiplicity 6)
Al1 0.0000 0.0000 0.3346 (multiplicity 6)
Cd1 0.0000 0.0000 0.5000 (multiplicity 3)
Cd2 0.0059 0.5029 0.9190 (multiplicity 18)

----------

1.
This entry pairs a crystal structure of Rb3IrBr6O with its theoretical X-ray powder pattern. Radiation: Cu Ka. Structure: a DFT-relaxed cell (GGA-PBE, the Materials Project).

Crystal structure
```
data_Rb3IrBr6O
_cell_length_a 12.9769
_cell_length_b 7.4274
_cell_length_c 15.3827
_cell_angle_alpha 90.00
_cell_angle_beta 90.00
_cell_angle_gamma 90.00
_symmetry_space_group_name_H-M 'P n m a'
_symmetry_Int_Tables_number 62
loop_
_symmetry_equiv_pos_as_xyz
'x,y,z'
'-x,-y,-z'
'-x+1/2,-y,z+1/2'
'x+1/2,y,-z+1/2'
'x+1/2,-y+1/2,-z+1/2'
'-x+1/2,y+1/2,z+1/2'
'-x,y+1/2,-z'
'x,-y+1/2,z'
loop_
_atom_site_label
_atom_site_fract_x
_atom_site_fract_y
_atom_site_fract_z
_atom_site_occupancy
Rb1 0.0584 0.2500 0.1456 1
Rb2 0.1106 0.7500 0.5354 1
Rb3 0.1720 0.2500 0.7737 1
Ir1 0.2260 0.2500 0.4032 1
Br1 0.1034 0.0151 0.3471 1
Br2 0.1378 0.2500 0.5481 1
Br3 0.1530 0.5146 0.9586 1
Br4 0.1860 0.7500 0.7555 1
O1 0.0616 0.7500 0.1554 1
```

Peak list (12 most intense, 10 to 80 degrees two-theta, by angle)
two_theta	I (rel.)	(hkl)
13.24	326	0 1 1
13.38	799	1 0 2
13.65	252	2 0 0
14.90	404	1 1 1
21.05	176	0 1 3
24.51	216	3 1 1
30.51	460	1 2 3
32.23	1000	2 0 5
33.88	532	3 2 2
49.07	210	0 4 0
54.18	234	1 2 8
59.90	181	2 4 5

=====

2.
This entry pairs a crystal structure of PrErMn4Co13 with its theoretical X-ray powder pattern. Radiation: Cu Ka. Structure: a DFT-relaxed cell (GGA-PBE, the Materials Project).

Crystal structure
```
data_PrErMn4Co13
_cell_length_a 9.5585
_cell_length_b 8.4664
_cell_length_c 6.3438
_cell_angle_alpha 90.00
_cell_angle_beta 99.90
_cell_angle_gamma 90.00
_symmetry_space_group_name_H-M 'C 1 m 1'
_symmetry_Int_Tables_number 8
loop_
_symmetry_equiv_pos_as_xyz
'x,y,z'
'x,-y,z'
'x+1/2,y+1/2,z'
'x+1/2,-y+1/2,z'
loop_
_atom_site_label
_atom_site_fract_x
_atom_site_fract_y
_atom_site_fract_z
_atom_site_occupancy
Pr1 0.0000 0.0000 0.0000 1
Er1 0.1951 0.5000 0.3124 1
Mn1 0.0994 0.2509 0.6530 1
Mn2 0.2498 0.0000 0.7609 1
Mn3 0.4497 0.0000 0.5468 1
Co1 0.0037 0.0000 0.4988 1
Co2 0.1910 0.5000 0.8098 1
Co3 0.2062 0.1436 0.3658 1
Co4 0.2523 0.2511 0.0025 1
Co5 0.3487 0.2843 0.6533 1
Co6 0.3504 0.0000 0.1555 1
Co7 0.4443 0.2495 0.3093 1
Co8 0.4929 0.1420 0.9439 1
```

Peak list (12 most intense, 10 to 80 degrees two-theta, by angle)
two_theta	I (rel.)	(hkl)
30.33	225	3 1 0
36.87	241	1 3 1
37.17	128	2 0 2
38.20	343	4 0 0
42.72	203	0 4 0
43.11	1000	2 2 2
43.34	149	4 0 1
43.44	146	0 0 3
43.98	388	4 0 -2
44.22	137	4 2 -1
48.67	139	0 2 3
62.96	116	4 4 -2

=====

3.
>>>

Worked solution.
O1 0.0616 0.7500 0.1554 1
```

Peak list (12 most intense, 10 to 80 degrees two-theta, by angle)
two_theta	I (rel.)	(hkl)
13.24	326	0 1 1
13.38	799	1 0 2
13.65	252	2 0 0
14.90	404	1 1 1
21.05	176	0 1 3
24.51	216	3 1 1
30.51	460	1 2 3
32.23	1000	2 0 5
33.88	532	3 2 2
49.07	210	0 4 0
54.18	234	1 2 8
59.90	181	2 4 5

=====

2.
This entry pairs a crystal structure of PrErMn4Co13 with its theoretical X-ray powder pattern. Radiation: Cu Ka. Structure: a DFT-relaxed cell (GGA-PBE, the Materials Project).

Crystal structure
```
data_PrErMn4Co13
_cell_length_a 9.5585
_cell_length_b 8.4664
_cell_length_c 6.3438
_cell_angle_alpha 90.00
_cell_angle_beta 99.90
_cell_angle_gamma 90.00
_symmetry_space_group_name_H-M 'C 1 m 1'
_symmetry_Int_Tables_number 8
loop_
_symmetry_equiv_pos_as_xyz
'x,y,z'
'x,-y,z'
'x+1/2,y+1/2,z'
'x+1/2,-y+1/2,z'
loop_
_atom_site_label
_atom_site_fract_x
_atom_site_fract_y
_atom_site_fract_z
_atom_site_occupancy
Pr1 0.0000 0.0000 0.0000 1
Er1 0.1951 0.5000 0.3124 1
Mn1 0.0994 0.2509 0.6530 1
Mn2 0.2498 0.0000 0.7609 1
Mn3 0.4497 0.0000 0.5468 1
Co1 0.0037 0.0000 0.4988 1
Co2 0.1910 0.5000 0.8098 1
Co3 0.2062 0.1436 0.3658 1
Co4 0.2523 0.2511 0.0025 1
Co5 0.3487 0.2843 0.6533 1
Co6 0.3504 0.0000 0.1555 1
Co7 0.4443 0.2495 0.3093 1
Co8 0.4929 0.1420 0.9439 1
```

Peak list (12 most intense, 10 to 80 degrees two-theta, by angle)
two_theta	I (rel.)	(hkl)
30.33	225	3 1 0
36.87	241	1 3 1
37.17	128	2 0 2
38.20	343	4 0 0